When I was first led by the Lord to read Jeremiah in 2020, these chapters stood out to me as the blatancy of man’s stubbornness, pride, and refusal to hear the Lord. I have gained more insight into my own heart during these readings than ever before. I would love to hear from you about how this has helped, any questions you may have, or any comments. You can simply respond to this email, and I will comment back on our last two blogs that are still to come.
After forty-one years of prophetic ministry that the Lord called Jeremiah to, Israel is defeated, and deported, and a small remnant, including Jeremiah, is left in Judah. Gedaliah is governor and there is already a return of the Jews to the land. But Ishmael is plotting to assassinate Gedaliah. There is an opportunity to stop this but an unwillingness on Gedaliah’s part to deal with it. After he is assassinated, all of Judah are afraid of what Nebuchadnezzar will do. Judea deals with the insurrection and prepares to flee to Egypt; but first, they ask Jeremiah to inquire of the Lord what they should do. After ten days, the Lord answers Jeremiah, that Israel is to stay in the land and that He will protect them. Redemption is made known.
“If you will still remain in this land, then I will build you and not pull you down, and I will plant you and not pluck you up. For I relent concerning the disaster that I have brought upon you. Do not be afraid of the king of Babylon of whom you are afraid;” says the Lord, “For I am with you to save you and deliver you from his hand, and I will show you mercy, that he may have mercy on you and cause you to return to your own land.” Jeremiah 42:10-12
• Attached: data records:
=====
No. 1
36
Lattice="15.283 0.000 0.000 0.000 5.898 0.000 0.000 0.000 5.468" Properties=species:S:1:pos:R:3 comment="PBE+U Nb2FeO6, relaxed" de_polymorph_mev_per_atom=100 formation_energy_ev_per_atom=-2.641 sg="No. 60" pbc="T T T"
Nb 2.479 1.066 0.347
Nb 2.479 4.833 3.081
Nb 5.162 1.883 3.081
Nb 5.162 4.015 0.347
Nb 10.121 1.883 5.121
Nb 10.121 4.015 2.387
Nb 12.803 1.066 2.387
Nb 12.803 4.833 5.121
Fe 0.000 2.008 4.101
Fe 0.000 3.891 1.367
Fe 7.641 0.942 1.367
Fe 7.641 4.957 4.101
O 1.183 2.377 0.285
O 1.183 3.521 3.019
O 1.620 0.394 3.960
O 1.620 5.504 1.226
O 3.562 1.741 1.774
O 3.562 4.157 4.508
O 4.079 1.208 4.508
O 4.079 4.691 1.774
O 6.022 2.555 1.226
O 6.022 3.344 3.960
O 6.458 0.572 3.019
O 6.458 5.326 0.285
O 8.825 0.572 5.183
O 8.825 5.326 2.449
O 9.261 2.555 1.508
O 9.261 3.344 4.242
O 11.203 1.208 3.694
O 11.203 4.691 0.960
O 11.721 1.741 0.960
O 11.721 4.157 3.694
O 13.663 0.394 4.242
O 13.663 5.504 1.508
O 14.100 2.377 2.449
O 14.100 3.521 5.183


No. 2
36
Lattice="5.333 0.000 0.000 0.003 5.831 0.000 0.109 0.017 14.955" Properties=species:S:1:pos:R:3 comment="PBE+U Nb2FeO6, relaxed" de_polymorph_mev_per_atom=41 formation_energy_ev_per_atom=-2.699 sg="No. 1" pbc="T T T"
Nb 0.000 0.000 0.000
Nb 0.121 2.913 12.416
Nb 0.196 0.935 7.482
Nb 0.208 3.835 4.947
Nb 2.778 3.845 14.953
Nb 2.787 0.943 12.412
Nb 2.863 2.902 7.484
Nb 2.876 5.830 4.948
Fe 1.424 1.040 2.473
Fe 1.494 4.006 9.947
Fe 4.090 2.790 2.473
Fe 4.154 5.671 9.951
O 0.634 5.496 8.729
O 0.602 2.552 3.703
O 1.046 4.018 13.817
O 1.052 1.109 13.553
O 1.179 2.489 8.427
O 1.206 5.377 3.990
O 1.672 5.367 0.943
O 1.802 2.499 11.467
O 1.929 1.095 6.344
O 1.941 4.007 6.080
O 2.271 2.542 1.248
O 2.348 5.503 11.169
O 3.267 1.280 3.703
O 3.302 4.173 8.728
O 3.713 5.673 13.816
O 3.720 2.752 13.555
O 3.846 1.346 8.432
O 3.872 4.286 3.990
O 4.338 4.294 0.943
O 4.469 1.359 11.471
O 4.596 2.738 6.345
O 4.609 5.659 6.079
O 4.937 1.288 1.248
O 5.016 4.183 11.168


No. 3
30
Lattice="5.345 0.000 0.000 -2.672 4.629 0.000 0.000 0.000 14.262" Properties=species:S:1:pos:R:3 comment="PBE+U Nb2Fe4O9, relaxed" formation_energy_ev_per_atom=-2.232 sg="No. 165" pbc="T T T"
Nb 0.000 0.000 2.014
Nb 0.000 0.000 5.117
Nb 0.000 0.000 9.146
Nb 0.000 0.000 12.248
Fe 0.000 3.086 0.225
Fe 0.000 3.086 4.373
Fe 0.000 3.086 7.356
Fe 0.000 3.086 11.504
Fe 2.672 1.543 2.758
Fe 2.672 1.543 6.906
Fe 2.672 1.543 9.889
Fe 2.672 1.543 14.037
O -0.757 1.311 3.566
O -1.916 3.318 10.697
O -0.777 1.563 13.065
O -1.707 3.174 5.934
O 1.513 0.000 3.566
O 0.757 1.311 10.697
O 0.777 1.563 5.934
O -0.930 4.520 13.065
O 1.742 0.109 8.329
O 0.965 1.454 1.197
O 1.707 3.174 13.065
O 0.930 4.520 5.934
O 3.603 0.109 1.197
O 1.895 3.066 8.329
O 3.831 0.000 10.697
O 1.916 3.318 3.566
O 4.380 1.454 8.329
O 3.450 3.066 1.197


| no. | raw total energy (eV per atom) | ρ (g/cm³) |
| --- | --- | --- |
| 1 | -8.417 | 4.550 |
| 2 | -8.475 | 4.822 |
| 3 | -7.792 | 5.207 |

----------
=====
But the proud people refuse and take everyone to Egypt, including Jeremiah. Now Egypt, as a nation, will be destroyed because of the rebellious remnant of Judah that refuses to repent, disobeying God by going to Egypt. It makes you think about how our stubbornness impacts all those around us. Jeremiah is told to confront the idolatry that brought all this destruction upon Judah.
What comes next are records of crystals, not part of the text:
{
  "formula": "Ti3O5",
  "functional": "meta-GGA r2SCAN",
  "state": "optimized geometry",
  "lattice": [[-0.219, 4.991, 0.714], [-4.795, -2.513, -1.738], [0.849, -0.976, 7.084]],
  "species": ["Ti", "Ti", "Ti", "Ti", "Ti", "Ti", "O", "O", "O", "O", "O", "O", "O", "O", "O", "O"],
  "frac_coords": [[0.861, 0.741, 0.779], [0.879, 0.741, 0.279], [0.114, 0.257, 0.718], [0.142, 0.257, 0.218], [0.504, 0.003, 0.504], [0.499, 0.003, 0.004], [0.150, 0.621, 0.845], [0.310, 0.999, 0.251], [0.923, 0.161, 0.441], [0.238, 0.160, 0.941], [0.848, 0.378, 0.155], [0.079, 0.841, 0.558], [0.689, 0.999, 0.751], [0.529, 0.378, 0.655], [0.763, 0.841, 0.058], [0.471, 0.621, 0.345]],
  "dft_energy_ev_per_atom": -11.80,
  "ef_ev_per_atom": -3.215,
  "e_above_lowest_polymorph_mev_per_atom": 1.5,
  "spacegroup": "Cc"
}
Back to the text:
The Lord prophesies, through Jeremiah, in Chapter 44, that the idolatry that caused Israel’s destruction will bring more calamity to them in Egypt if they persist in burning incense to other gods. God pleads with them to not destroy the remnant left in Egypt through their idolatry. As always, God is seeking to bring redemption through our repentance to obedience. But, Judah says, “No”.
“As for the word that you have spoken to us in the name of the Lord, we will not listen to you! But we will certainly do whatever has gone out of our own mouth, to burn incense to the queen of heaven and pour out drink offerings to her, as we have done, we and our fathers, our kings and our princes, in the cities of Judah and in the streets of Jerusalem. For then we had plenty of food, were well-off, and saw no trouble. But since we stopped burning incense to the queen of heaven and pouring out drink offerings to her, we have lacked everything and have been consumed by the sword and by famine.” Jeremiah 44:16-18
Baruch is promised, in Chapter 45, that his life would be his prize given to him for his obedience amid all that comes upon Judah.
Chapter 46 begins the judgment of the nations, beginning with Egypt.
When I harden my heart to the voice of the Lord, it becomes harder and harder to hear Him. His instructions I ignore, and His commands seem as foolishness. I consider my sin, the better days, and my attempt to follow Him my worse days. Repentance is my only way out. I have recognized that I am in a mess, and He alone can deliver me. I must move away from blaming others and humble myself in His sight. As I declare, “You are right Lord, and I am wrong. Please have mercy on my disobedience and lead me in the path of life.”